A mixture of ethyne ( C2H2 ) and methane ( CH4 ) occupied a certain volume at a total pressure of 16.8 kPa. Upon burning the sample to form CO2 and H2O, the CO2 was collected and its pressure found to be 25.6 kPa in the same volume and at the same temperature as the original mixture. What percent of the original mixture was methane?

The reactions are:

2C2H2(g) + 5O2(g) —> 4CO2(g) + 2H2O(L)
CH4 + 2O2 —> CO2(g) + 2H2O(L)
Let moles of C2H2 = 2x, moles CH4 = y. Then,
2xC2H2(g) + 5xO2(g) —> 4xCO2(g) + 2xH2O(L)
yCH4 + 2yO2 —> yCO2(g) + 2yH2O(L)

Original moles of gas (C2H2 + CH4) = 2x + y
Final moles of gas (CO2) = 4x + y

(4x + y) / (2x + y) = 25.6 / 16.8 = ____?
Solve for the ratio x/y
Assign the value y = 1 and solve for x.
Determine the ratio:
y / (x + y)
The above ratio times 100 is the % of methane.

To solve this problem, we need to understand the stoichiometry of the combustion reaction and use the ideal gas law.

Attached: quantum chemistry results
********
[1]
90
Properties=species:S:1:pos:R:3:lowdin_charge:R:1 method="wB97M-V/def2-TZVPD" total_energy_ev=-86580.6183 orbital_gap_ev=8.2912 homo_energy_ev=-10.17 multiplicity=1 fmax_ha_per_bohr=0.03577
N 3.9179 -1.9803 1.9424 0.198
C 4.2694 -1.8408 0.6571 -0.441
N 5.1782 -2.6863 0.1213 0.222
N 3.7329 -0.8844 -0.1531 -0.158
C 3.9916 0.5481 0.3245 -0.761
O 3.6939 1.3641 -0.5112 0.042
O 4.4523 0.5904 1.4649 0.000
P 2.0566 -1.0217 -0.6239 0.712
O 1.8432 -2.6240 -0.6113 -0.316
Cl 0.9741 -0.4700 1.0993 0.308
H 3.2939 -1.2460 2.2644 0.081
H 3.6106 -2.9109 2.2048 0.142
H 5.0423 -3.6778 0.1433 0.123
H 5.9487 -2.2717 -0.3695 0.132
H 1.8518 -3.0045 0.2739 0.036
O 1.1757 2.5041 -1.3781 -0.077
H 2.0798 2.3167 -1.0912 -0.017
H 0.7967 2.9728 -0.6278 0.000
O -0.7871 2.4481 1.2452 -0.069
H -1.7367 2.3709 1.4109 0.010
H -0.4891 1.5719 0.9849 -0.048
O -3.1779 3.2534 2.4888 -0.077
H -3.9675 3.3839 3.0429 0.025
H -2.8016 4.1423 2.4023 0.008
O 2.1568 3.7874 1.5128 -0.044
H 1.2555 3.5673 1.7823 0.030
H 2.6016 2.9382 1.3965 0.033
O -5.5682 1.9911 0.8104 -0.055
H -5.6917 1.1816 1.3122 0.041
H -4.7738 2.3936 1.1981 0.006
O 1.7237 -1.0200 -3.5821 -0.105
H 0.8795 -1.4322 -3.8113 0.008
H 1.6260 -0.1008 -3.8583 0.066
O -0.6334 -2.4778 -4.7277 -0.040
H -1.5805 -2.6259 -4.6573 0.035
H -0.2679 -3.3416 -4.9429 0.054
O 3.2582 -1.9974 -6.0307 -0.068
H 4.0636 -2.3373 -5.6242 -0.001
H 2.7770 -1.6160 -5.2862 -0.017
O 7.2872 0.7117 1.9741 -0.059
H 6.3208 0.6396 1.9807 -0.001
H 7.5802 -0.1604 1.6832 0.002
O 5.8627 -1.9597 -4.4010 -0.053
H 5.2417 -1.3401 -4.0021 0.037
H 6.7143 -1.5201 -4.3207 0.045
O 9.1679 -0.0832 -0.5363 -0.063
H 8.6225 0.5293 -0.0286 0.010
H 10.0652 0.2329 -0.4031 0.036
O 5.2560 -1.7503 4.8602 -0.048
H 5.6228 -2.6384 4.8903 0.036
H 4.8465 -1.6757 3.9929 -0.014
O -5.9353 3.9653 2.9869 -0.076
H -6.3445 4.7825 3.2942 0.033
H -6.2327 3.8748 2.0729 0.037
O -2.1282 -3.6884 -2.6244 -0.051
H -2.3634 -4.4311 -2.0529 0.063
H -1.4255 -3.2254 -2.1533 0.061
O 2.9766 5.6158 -0.5875 -0.074
H 2.9379 4.9448 0.1123 -0.011
H 3.6919 6.1999 -0.3246 0.024
O 8.9217 -1.8136 3.1743 -0.063
H 8.3719 -1.1941 3.6681 0.027
H 9.8189 -1.5021 3.3213 0.039
O -2.8516 5.9916 1.7735 -0.039
H -2.2921 6.5844 2.2926 0.075
H -2.7075 6.2613 0.8589 0.083
O -0.3987 -6.1976 -2.9725 -0.052
H -0.8548 -5.3658 -2.8015 -0.020
H -0.5717 -6.3881 -3.8986 0.040
O -5.0998 -4.0886 -3.6739 -0.045
H -4.1891 -3.9055 -3.4240 -0.003
H -5.4314 -3.2663 -4.0437 0.035
O -6.8369 -5.0916 -1.0598 -0.066
H -6.4013 -4.4374 -0.5112 0.044
H -6.6605 -4.7890 -1.9626 0.006
O -8.9333 -6.8117 -2.1573 -0.070
H -9.1253 -7.5874 -1.6258 0.028
H -8.2164 -6.3637 -1.6872 -0.014
O -7.7296 -2.9784 -2.6735 -0.050
H -8.5722 -3.4125 -2.8475 0.056
H -7.8697 -2.0718 -2.9632 0.047
O -2.8440 5.4484 4.7886 -0.041
H -2.6475 4.5112 4.6901 0.032
H -3.2612 5.6967 3.9593 -0.004
O -7.1966 4.3498 5.4168 -0.061
H -6.8563 4.1261 6.2868 0.038
H -7.0029 3.5825 4.8658 0.017
O -5.9020 6.3116 1.5638 -0.049
H -4.9605 6.4527 1.7482 0.011
H -6.2403 7.1664 1.2845 0.047

[2]
70
********
Here the entry continues

First, let's write the balanced equation for the combustion of both ethyne and methane:

C2H2 + 2.5O2 --> 2CO2 + H2O
CH4 + 2O2 --> CO2 + 2H2O

From the equations, we see that for every 2 moles of ethyne, we produce 2 moles of CO2. And for every 1 mole of methane, we produce 1 mole of CO2.

Now, let's assume the initial volume of the mixture is V liters.

According to the ideal gas law, PV = nRT, where P is pressure, V is volume, n is the number of moles, R is the ideal gas constant, and T is the temperature (which is constant in this case).

Initially, the total pressure of the mixture is 16.8 kPa. Let's assume the number of moles of ethyne is x and the number of moles of methane is y.

Using the ideal gas law for the initial mixture:
(16.8 kPa) V = (x+y) (RT) ------- Equation 1

After burning the mixture, the CO2 pressure is 25.6 kPa. We know that the volume is the same as the initial mixture. Let's assume the number of moles of CO2 produced is z.

Using the ideal gas law for CO2:
(25.6 kPa) V = z (RT) ------- Equation 2

Since the volume (V) and temperature (T) are the same in both equations, we can divide Equation 2 by Equation 1 to eliminate V and T:

(25.6 kPa) / (16.8 kPa) = z / (x+y)

Simplifying, we get:

z = (25.6 kPa) * (x+y) / (16.8 kPa) ------- Equation 3

Now, we know that for every 2 moles of ethyne, we produce 2 moles of CO2. And, for every 1 mole of methane, we produce 1 mole of CO2.

So, the mole ratio of ethyne to methane in terms of CO2 produced is 2x : y.

We can set up another equation based on the mole ratio:

2x / y = z

Substituting the value of z from Equation 3, we get:

2x / y = (25.6 kPa) * (x+y) / (16.8 kPa)

Now we can solve this equation to find the value of x/y, which represents the mole ratio of ethyne to methane.

x/y = (25.6 kPa) * (x+y) / (16.8 kPa) * 2


x/y = (25.6 kPa) * (x+y) / (33.6 kPa)

Now, we can solve this equation to find the value of x/y.

After finding the value of x/y, we can calculate the percent of the original mixture that is methane by using the relationship:

Percent methane = (y / (x+y)) * 100